**Given:**
'''
Record 1
For Sr2SnHg, the PBE geometry in OQMD gives the simulated X-ray diffraction stick pattern in this record (Cu Kα X-rays).
Kinematic intensities with the Lorentz-polarization factor, no thermal factor.

Atomic structure:
```
data_Sr2SnHg
_chemical_formula_sum 'Sr4 Sn2 Hg2'
_cell_length_a 5.701
_cell_length_b 8.020
_cell_length_c 5.701
_cell_angle_alpha 90.00
_cell_angle_beta 90.00
_cell_angle_gamma 90.00
_symmetry_space_group_name_H-M 'P m m n'
_symmetry_Int_Tables_number 59
loop_
_symmetry_equiv_pos_as_xyz
'x,y,z'
'-x,-y,-z'
'-x+1/2,-y+1/2,z'
'x+1/2,y+1/2,-z'
'x+1/2,-y,-z'
'-x+1/2,y,z'
'-x,y+1/2,-z'
'x,-y+1/2,z'
loop_
_atom_site_label
_atom_site_fract_x
_atom_site_fract_y
_atom_site_fract_z
_atom_site_occupancy
Sr1 0.250 0.000 0.249 1
Sn1 0.250 0.250 0.749 1
Hg1 0.250 0.750 0.749 1
```

Principal peaks in the range 10° ≤ 2θ ≤ 90°, sorted by position:
d 4.031, 2θ 22.05, I 65, (1 0 1)
d 2.846, 2θ 31.44, I 1000, (2 0 0)
d 2.016, 2θ 44.97, I 125, (2 0 2)
d 2.005, 2θ 45.22, I 62, (0 4 0)
d 1.644, 2θ 55.92, I 264, (3 2 1)
d 1.640, 2θ 56.08, I 131, (2 4 0)
d 1.421, 2θ 65.68, I 82, (2 4 2)
d 1.274, 2θ 74.44, I 116, (4 0 2)

=====

Record 2
For Tb2Sn3Hg3, the PBE geometry in OQMD gives the simulated X-ray diffraction stick pattern in this record (Cu Kα X-rays).
Kinematic intensities with the Lorentz-polarization factor, no thermal factor.

Atomic structure:
```
data_Tb2Sn3Hg3
_chemical_formula_sum 'Tb2 Sn3 Hg3'
_cell_length_a 4.619
_cell_length_b 4.768
_cell_length_c 9.025
_cell_angle_alpha 90.00
_cell_angle_beta 90.00
_cell_angle_gamma 90.00
_symmetry_space_group_name_H-M 'P m m m'
_symmetry_Int_Tables_number 47
_symmetry_space_group_name_Hall '-P 2 2'
loop_
_atom_site_label
_atom_site_fract_x
_atom_site_fract_y
_atom_site_fract_z
_atom_site_occupancy
Tb1 0.000 0.000 0.247 1
Sn1 0.000 0.500 0.000 1
Sn2 0.500 0.000 0.000 1
Sn3 0.500 0.000 0.500 1
Hg1 0.000 0.500 0.500 1
Hg2 0.500 0.500 0.255 1
```

Principal peaks in the range 10° ≤ 2θ ≤ 90°, sorted by position:
d 2.673, 2θ 33.53, I 1000, (1 1 2)
d 2.384, 2θ 37.74, I 183, (0 2 0)
d 2.309, 2θ 39.00, I 168, (2 0 0)
d 2.256, 2θ 39.96, I 155, (0 0 4)
d 1.659, 2θ 55.39, I 122, (2 2 0)
d 1.426, 2θ 65.47, I 149, (1 3 2)
d 1.393, 2θ 67.18, I 139, (3 1 2)
d 1.370, 2θ 68.50, I 130, (1 1 6)

=====

What did the first record say?
For Sr2SnHg, the PBE geometry in OQMD gives the simulated X-ray diffraction stick pattern in this record (Cu Kα X-rays).
Kinematic intensities with the Lorentz-polarization factor, no thermal factor.

Atomic structure:
```
data_Sr2SnHg
_chemical_formula_sum 'Sr4 Sn2 Hg2'
_cell_length_a 5.701
_cell_length_b 8.020
_cell_length_c 5.701
_cell_angle_alpha 90.00
_cell_angle_beta 90.00
_cell_angle_gamma 90.00
_symmetry_space_group_name_H-M 'P m m n'
_symmetry_Int_Tables_number 59
loop_
_symmetry_equiv_pos_as_xyz
'x,y,z'
'-x,-y,-z'
'-x+1/2,-y+1/2,z'
'x+1/2,y+1/2,-z'
'x+1/2,-y,-z'
'-x+1/2,y,z'
'-x,y+1/2,-z'
'x,-y+1/2,z'
loop_
_atom_site_label
_atom_site_fract_x
_atom_site_fract_y
_atom_site_fract_z
_atom_site_occupancy
Sr1 0.250 0.000 0.249 1
Sn1 0.250 0.250 0.749 1
Hg1 0.250 0.750 0.749 1
```

Principal peaks in the range 10° ≤ 2θ ≤ 90°, sorted by position:
d 4.031, 2θ 22.05, I 65, (1 0 1)
d 2.846, 2θ 31.44, I 1000, (2 0 0)
d 2.016, 2θ 44.97, I 125, (2 0 2)
d 2.005, 2θ 45.22, I 62, (0 4 0)
d 1.644, 2θ 55.92, I 264, (3 2 1)
'''

**Work order:**
Now work out how many lines earlier on have the word "Hg1" in them; a number is enough.

**Result:**
3